6 Mom-Tips to Overcome Exercise Slumps And Get You Back on Track
When it's 10:30 pm and your child is still wide awake...
Last week my husband was away at work camp with our high school youth group kids while I stayed home with my 19 month old daughter. I knew I was looking at a marathon-week, but I felt pretty out of my league when my daughter came down with a nasty cold Monday night. Tuesday I was able to get us outside between rain showers to go on a relaxing 20 minute walk to enjoy the fresh air, but I had no extra energy for anything else. After a nearly sleepless night Tuesday night, all I wanted to do Wednesday was have a movie marathon and not have to even think about the work that needed to be done; forget about working out! The week wrapped itself up with one last punch to the gut as I, too, got the cold my daughter had (gotta love those kid germs), and my hopes of getting in my daily cardio were dashed. Needless to say, a lot of prayer went into last week.
/*
#one
ORCA calculation (wB97M-V/def2-TZVPD) on C25H17MnN2O10PS as an isolated structure.

Multiplicity = 2
Orbital gap (alpha / beta) = 0.256 / 0.286 Ha
<S²> = 0.789
E_HOMO (alpha / beta) = -9.744 / -9.729 eV
LUMO level (alpha / beta) = -0.1023 / -0.0715 Ha

Last column: Löwdin spin population.
Positions of all 57 atoms, in Å:
O (0.435, 2.950, -5.524)  0.00
H (-3.679, 0.867, 1.476)  0.00
O (1.685, 1.605, -6.652)  0.00
H (-2.250, 0.504, -0.914)  0.00
H (-2.128, -0.049, -3.309)  0.00
C (-0.581, -1.515, -3.058)  0.00
H (-3.026, -4.804, 2.012)  0.00
H (-2.248, 4.637, 2.924)  0.00
O (1.475, 1.135, 0.363)  0.03
H (-2.271, -2.508, 5.547)  0.00
C (-1.483, -0.561, -2.607)  0.00
H (-1.174, -0.771, 4.193)  0.00
C (-0.710, 3.189, 2.573)  0.00
N (1.244, 2.052, -5.615)  0.00
C (-2.207, -2.627, 4.474)  0.00
C (-0.716, -0.899, -0.354)  0.00
C (0.257, -2.161, -2.159)  0.00
C (2.570, 0.274, -2.010)  0.00
C (-3.078, 2.807, 2.185)  0.01
C (0.202, -1.846, -0.811)  0.00
H (-4.089, 3.191, 2.225)  0.00
Mn (1.112, 0.878, 2.051)  1.09
C (-1.559, -0.257, -1.256)  0.00
C (1.249, 1.934, -3.158)  0.00
O (3.647, 0.850, 4.696)  0.00
H (-0.528, -1.754, -4.112)  0.00
C (-1.595, -1.647, 3.712)  0.00
C (-2.724, -3.762, 3.861)  0.00
C (1.681, 1.341, -1.980)  0.00
H (0.886, -2.324, -0.119)  0.00
C (2.612, 0.384, -4.440)  0.00
C (-0.489, 1.894, 2.126)  -0.07
N (3.907, -1.348, -3.284)  0.00
H (0.109, 3.817, 2.895)  0.00
O (2.527, 2.084, 2.829)  0.00
C (-1.510, -1.800, 2.328)  -0.01
H (0.548, 2.755, -3.137)  0.00
C (-2.855, 1.512, 1.755)  0.00
S (2.855, 0.787, 3.526)  0.00
O (4.103, -1.938, -2.243)  0.00
H (0.968, -2.900, -2.507)  0.00
C (-2.024, 3.633, 2.587)  0.00
C (3.010, -0.178, -3.241)  0.00
O (1.305, 0.386, 3.803)  -0.04
H (2.964, 0.012, -5.389)  0.00
O (0.372, 2.797, -0.627)  0.02
C (1.103, 1.844, -0.694)  0.01
H (-1.949, -3.064, 0.644)  0.00
P (-0.699, -0.491, 1.402)  -0.02
C (-1.532, 1.069, 1.716)  0.01
H (2.906, -0.202, -1.100)  0.00
C (1.723, 1.441, -4.359)  0.00
C (-2.019, -2.939, 1.716)  0.00
O (4.347, -1.670, -4.367)  0.00
H (-3.197, -4.528, 4.459)  0.00
C (-2.628, -3.918, 2.488)  0.00
O (3.145, -0.168, 2.457)  0.00

#two
ORCA calculation (wB97M-V/def2-TZVPD) on C25H17MnN2O10PS as an isolated structure.

Multiplicity = 2
Orbital gap (alpha / beta) = 0.280 / 0.300 Ha
<S²> = 0.794
E_HOMO (alpha / beta) = -9.790 / -9.774 eV
LUMO level (alpha / beta) = -0.0796 / -0.0587 Ha

Last column: Löwdin spin population.
Positions of all 57 atoms, in Å:
H (3.208, 2.809, -0.744)  0.00
H (-3.255, -1.960, 0.009)  0.00
C (-3.150, -4.038, -0.492)  0.00
C (-1.028, -5.054, -0.418)  0.00
H (-0.859, 6.082, -1.303)  0.00
C (0.067, 4.237, -0.753)  0.00
H (5.855, 2.203, 2.561)  0.00
C (3.886, 1.395, 2.789)  0.00
H (-3.342, 3.453, 1.017)  0.00
C (1.269, -0.647, -3.794)  0.00
H (2.729, -0.395, -0.749)  0.00
C (0.094, 0.936, -2.420)  0.00
C (2.173, -0.877, -2.765)  0.00
C (1.001, 0.710, -1.388)  0.00
C (-2.384, -5.174, -0.653)  0.00
C (3.398, 2.426, 0.252)  0.00
H (-0.716, 1.641, -2.282)  0.00
*/
As a work at home mom, most of my work is done during my daughter's nap time and in the evenings after she is asleep. I only have a handful of clients that I meet with in their homes, so, when I’m not in season to coach volleyball, I get to spend about 95% of my time at home. Even as a personal trainer, and what I like to dub myself "supermom", I get so busy that it may be 9 pm before I realize that I haven't worked out yet or sometimes fall into slumps where I can't even muster enough energy to do basic chores around the house.
All this is to say that I understand the struggle.
I understand being so done with the day that all I want to do is eat my favorite comfort food (usually chocolate) and enjoy a mindless t.v. show (Grey’s) before knocking out.
I really, truly, deep-down get it, and that's why I want to give you a few tricks to keep you on track with living the healthy lifestyle that is right for you.
Now that you know where I'm coming from, I want to say this to you: If you are a mom, and want to get in shape, but feel bad for missing the mark, being too busy or tired, or simply not motivated to get your workouts in, I offer this essential piece of advice:
stop being so hard on yourself!
We as moms and wives are natural caregivers and giving all that we have is completely expected and certainly nothing to be ashamed of! The world expects us to do things flawlessly - to be amazing moms and wives, lead successful careers, have a well-kept home and food on the table, and rock a “sexy” mom-bod. If you ask me, that’s a lot of pressure resting on our shoulders, and it’s understandable that your health often comes last on your seemingly endless checklist of responsibilities.
If you are ready to change that, to invest in yourself, and get through the slump that I like to call “life”, listed below are a few great strategies to get you moving forward.
How to Move Forward Toward your Goals
1. Love Your Body as it is.
Fellow moms, this is one of the hardest things you will ever be asked to do. Growing a baby and watching my body change was hard to see, but I knew I was helping develop a life inside of me. However, post-baby my thighs are a bit less elastic than before pregnancy, my stomach still balloons out like I’m 6 months pregnant when I’m bloated, and when my hormones go a bit crazy every month, my stretch marks reappear. I don’t feel sexy when these things happen, and I want to be loved, desired, and wanted by my husband, so the easiest, and natural, thing to do is hate my body. I can guarantee when asked, you can point out things about your body that you don’t like without hesitation as well.
Now, I’m not as bad as I used to be when it comes to this, because God continuously speaks life into my beliefs about my body. Some days it is a struggle that I have to constantly fight, but here’s the thing: God already loves you as you are, and if you take anything from me, know that the fight to create a body that is desirable will always be draining and unfulfilling. You are already radiating beauty. Yes, even with dirty sweats and spit-up in your hair. Even more so, you are already loved so very deeply by God. Nothing you can do or change will ever stop God from loving you as he does.
2) Find an accountability partner (or a few).
Community is key to helping you find a routine that works for you. Friends or family who will support you with your exact goals or who have similar goals themselves will work best as accountability partners. These are the people who will remind you to invest in yourself, speak truth about who you are, and keep you focused on the vision you have for your lifestyle and your body. If you want someone who can give you direction, encouragement, and problem-solve your exact needs, feel free to sign up for one of my programs here: www.cr3ationfitness.com.
3) Get active with your kids!
Whether you stay at home, work from home, or want to get the most out of spending your time with your kids, this is a perfect opportunity to have quality time and get in a workout! Go for a walk, do some interval training inside, or get outside and set up an obstacle course with your children. Start with 10-15 minute sessions and increase the length of your session to fit your schedule and your goals.
For those of you with babies or toddlers - I have found that they love learning new movements and also love when you become a jungle gym while doing floor exercises. And honestly, anything that lets them run around and chase you, be chased, and burn crazy energy is a win-win in my book as well.
Let the fun begin!
4) Make a schedule and stick to it.
One of the most helpful things you can do is create a schedule and mark exact times when you are going to workout. Make them non-negotiable. Give yourself a reward for completing all of your workouts, even if you have to make one up later because of a conflict. If you need accountability for this, you should have already selected a few people to help you or visited our website and signed up for a program.
Again, I get that life happens. If you can’t tell from above, I clearly didn’t stick to the schedule I made last week, but I did do my floor exercises every day, and I did squeeze in two other low-impact workouts to help me stay on track. If you can’t seem find any energy, complete a few floor exercises for your core or try 10 minutes of yoga. Anything is better than nothing when it comes to creating a healthy habit of working out.
5) Schedule 10-30 minutes of alone time.
This is time in your day where someone else has the kids and you get to be alone and focus on yourself. Do this at least 3 times a week and embrace the alone time while you do something you enjoy! Don't feel like you have to exercise during this time. Health is more than just moving your body. This is relaxing time to focus on deepening your relationship with God and taking a breath from the hectic life you live as a mom.
6) Get in the ZZZZZs.
Remember that no-sleep night I had last Tuesday night? With children, sleep is never set in stone, but there are things you can do to put yourself in the position to add a few extra ZZZs around regressed sleep schedules and skipped naps. Getting enough sleep is the number one way to stay motivated and on track with your goals. Believe me, I know this is easier said than done, but try getting into bed a half hour early every night and giving yourself time to take a nap on your days off. The chores and work can wait an hour (or 3 if you're like me). Consider it an investment in yourself. You will be a better mom, give your body a reset, and have more energy to be more productive with the time you have left.
We here at Cr3ation Fitness help women and moms love the bodies they’ve been given, create a healthy routine that works for their specific schedule and goals, and speak words of truth and affirmation into each precious life.
Pregnancy & Beyond is series of 12 week programs designed to help women prepare for childbirth by strengthening the body, alleviating back and hip pain, and help moms recover from the stress of childbirth. Included are strength workouts to be completed at home, stroller workouts to get out with your little ones, prenatal and postnatal yoga, and at-home cardio workouts. All workouts are accessed and logged into an app that is designed to keep you accountable and provide feedback that motivates and encourages you.
All you have to do is let us know how far along you are in your pregnancy or how many weeks postpartum you are, and your 12 week program will include specific workouts to your exact needs.
If you are interested in this program you can sign up here: http://eepurl.com/cWon2r
If you would like more information you can check out our website: www.cr3ationfitness.com or email us at cr3ation.fitness@gmail.com.